Beijing has long understood that China has a water-security problem that could pose an existential threat. In 2005, China’s minister for water resources reportedly said, ‘To fight for every drop of water or die: that is the challenge facing China.’ Former premier Wen Jiabao observed that water shortages threaten ‘the very survival of the Chinese nation’.
China has 20% of the world’s population but only 7% of its fresh water. And 80% of China’s water is in the south, whereas half of its population and two-thirds of its farmland are in the north. While total water usage in China increased by only 35% between 1980 and 2010, water usage in households increased elevenfold and in industrial sectors, threefold. But per capita available water in China amounts to only a quarter of the world average.
Climate change will also increase China’s vulnerability to water scarcity. The average annual temperature in China has increased faster than the global average and regional and seasonal patterns have changed significantly across the country, impacting negatively on the drier north of the country. More critically, climate change is causing glacial retreat in the Himalayas, which will result in a decrease in total water volume in major river systems in China.
The implications of these factors for China’s water security have become apparent. A three-year survey of its river system completed by Beijing in 2013 indicated that the number of rivers in China had decreased by 28,000 from previous estimates. The flow of the Yellow River, which provides water to a significant proportion of China’s population, is a tenth of what it was 80 years ago. In addition, groundwater aquifers, critically important to northern parts of China, are being depleted at a rate of 1 to 3 metres a year. A 2015 study of the country’s groundwater found that 80% was contaminated by toxic metals and other pollutants, rendering supply unfit for human consumption.
**These data records were left in the page by mistake**
'''
1.
Density functional theory data (PBE) for ZrI4 after structural relaxation.

Lattice parameters (Å, degrees): 8.6501 8.7210 27.5924 89.58 85.27 87.45
Last column: nearest neighbours and their distance in Å.
Atoms (fractional coordinates):
1 Zr 0.1114 0.3625 0.1734  4 I 2.71-2.88
2 Zr 0.3754 0.6522 0.0590  4 I 2.73-2.91
3 Zr 0.6246 0.3478 0.9410  4 I 2.73-2.91
4 Zr 0.8886 0.6375 0.8266  4 I 2.71-2.88
5 I 0.0618 0.4227 0.7729  1 Zr 2.72
6 I 0.1110 0.8440 0.8383  1 Zr 2.73
7 I 0.1252 0.8531 0.0564  1 Zr 2.73
8 I 0.1521 0.3866 0.0689  2 Zr 2.88-3.08
9 I 0.3048 0.1829 0.2246  1 Zr 2.71
10 I 0.3711 0.5926 0.1624  2 Zr 2.89-3.07
11 I 0.3813 0.6123 0.9542  2 Zr 2.91-3.06
12 I 0.3946 0.1453 0.9379  1 Zr 2.73
13 I 0.6054 0.8547 0.0621  1 Zr 2.73
14 I 0.6187 0.3877 0.0458  2 Zr 2.91-3.06
15 I 0.6289 0.4074 0.8376  2 Zr 2.89-3.07
16 I 0.6952 0.8171 0.7754  1 Zr 2.71
17 I 0.8479 0.6134 0.9311  2 Zr 2.88-3.08
18 I 0.8748 0.1469 0.9436  1 Zr 2.73
19 I 0.8890 0.1560 0.1617  1 Zr 2.73
20 I 0.9382 0.5773 0.2271  1 Zr 2.72

Values from the calculation:
- formation energy from the elements (meV per atom) = -1205

=====

2.
Density functional theory data (PBE) for Zn2P2O7 after structural relaxation.

Lattice parameters (Å, degrees): 5.0226 13.5076 16.6766 90.00 90.00 90.00
Last column: nearest neighbours and their distance in Å.
Atoms (fractional coordinates):
1 Zn 0.0911 0.0456 0.0864  3 O 1.93-2.03
2 Zn 0.0911 0.0456 0.4136  3 O 1.93-2.03
3 Zn 0.0911 0.4544 0.5864  3 O 1.93-2.03
4 Zn 0.0911 0.4544 0.9136  3 O 1.93-2.03
5 Zn 0.3207 0.2421 0.6568  5 O 1.97-2.15
6 Zn 0.3207 0.2421 0.8432  5 O 1.97-2.15
7 Zn 0.3207 0.2579 0.1568  5 O 1.97-2.15
8 Zn 0.3207 0.2579 0.3432  5 O 1.97-2.15
9 Zn 0.6793 0.7421 0.6568  5 O 1.97-2.15
10 Zn 0.6793 0.7421 0.8432  5 O 1.97-2.15
11 Zn 0.6793 0.7579 0.1568  5 O 1.97-2.15
12 Zn 0.6793 0.7579 0.3432  5 O 1.97-2.15
13 Zn 0.9089 0.5456 0.0864  3 O 1.93-2.03
14 Zn 0.9089 0.5456 0.4136  3 O 1.93-2.03
15 Zn 0.9089 0.9544 0.5864  3 O 1.93-2.03
16 Zn 0.9089 0.9544 0.9136  3 O 1.93-2.03
17 P 0.0416 0.0562 0.7500  4 O 1.52-1.65
18 P 0.0416 0.4438 0.2500  4 O 1.52-1.65
19 P 0.1732 0.6503 0.2500  4 O 1.54-1.61
20 P 0.1732 0.8497 0.7500  4 O 1.54-1.61
21 P 0.4215 0.6439 0.5028  4 O 1.51-1.63
22 P 0.4215 0.6439 0.9972  4 O 1.51-1.63
23 P 0.4215 0.8561 0.0028  4 O 1.51-1.63
24 P 0.4215 0.8561 0.4972  4 O 1.51-1.63
25 P 0.5785 0.1439 0.5028  4 O 1.51-1.63
26 P 0.5785 0.1439 0.9972  4 O 1.51-1.63
27 P 0.5785 0.3561 0.0028  4 O 1.51-1.63
28 P 0.5785 0.3561 0.4972  4 O 1.51-1.63
29 P 0.8268 0.1503 0.2500  4 O 1.54-1.61
30 P 0.8268 0.3497 0.7500  4 O 1.54-1.61
31 P 0.9584 0.5562 0.7500  4 O 1.52-1.65
32 P 0.9584 0.9438 0.2500  4 O 1.52-1.65
33 O 0.0136 0.6688 0.1724  1 P 1.54
34 O 0.0136 0.6688 0.3276  1 P 1.54
35 O 0.0136 0.8312 0.6724  1 P 1.54
36 O 0.0136 0.8312 0.8276  1 P 1.54
37 O 0.1185 0.5482 0.6731  1 P 1.52
38 O 0.1185 0.5482 0.8269  1 P 1.52
39 O 0.1185 0.9518 0.1731  1 P 1.52
40 O 0.1185 0.9518 0.3269  1 P 1.52
'''
Given this context, Beijing’s announcement late last year that it was moving ahead with plans to construct the world’s largest hydropower dam at Motuo on the Yarlung Tsangpo river is likely as much about water security as it is about clean energy.
The new dam, one of at least eleven to be constructed along the Yarlung Tsangpo, is considered by some as a key element of Beijing’s plan to achieve net-zero emissions by 2060. When complete, it will generate up to 60 gigawatts of electricity. Nevertheless, China’s decision to proceed with the project now is curious for two reasons.
First, analysts see such projects as unfeasible given the prohibitive costs associated with dam-building in the region and with the transmission network that would be required to get the electricity to distant population centres.
Second, existing installed hydropower already far outstrips demand in China and Southeast Asia. Observers have noted that Beijing is now tilting towards other forms of clean energy generation, such as wind and solar, instead of expensive signature hydro projects.
Beijing’s decision to proceed with the dam makes more sense in light of the likelihood of its being integrated into China’s South–North Water Transfer Project. This project is designed to resolve the water shortage problem in China’s north by moving water through 1,500-kilometre-long canals.
The completed eastern and middle routes of the transfer project can transfer 20.9 billion cubic metres of water each year. In 2018, Beijing started exploring options for the controversial western route of this project. This may result in tens of millions of cubic metres of water being diverted from the Yarlung Tsangpo and other transnational river systems in Tibet to the Yellow River. The project gained further impetus in early 2020, when Chinese Premier Li Keqiang called for options.
The consequences of the new dam for downstream countries like India and Bangladesh could prove catastrophic. The Yarlung Tsangpo is a transnational river system that becomes the Brahmaputra River in India, which provides 30% of the country’s water. The project could reduce water flows to India by 60%.
The environmental impacts in Tibet and downstream will be devastating. Peter Bosshard, the policy director of the International Rivers Organisation, noted more than a decade ago, ‘A large dam on the Tibetan plateau would amount to a major, irreversible experiment with geo-engineering. Blocking the Yarlung Tsangpo could devastate the fragile ecosystem of the Tibetan plateau, and would withhold the river’s sediments from the fertile floodplains of Assam in north-east India, and Bangladesh.’
More recently, Brian Eyler of the Stimson Center said, ‘Upstream dams on the Brahmaputra impact downstream seasonal hydrological cycles which hold important cultural significance and impact local and national economic activities.’ Eyler drew comparisons with the impact of the 11 dams China constructed upstream from the Mekong Delta, noting that they ‘had a severe impact on hydrological cycles downstream, restricting the water flow at times of drought’.
Importantly, the Yarlung Tsangpo dam will also provide Beijing with significant leverage over its strategic rival India at a time when tensions between the two countries are worsening. China controls the sources of 10 major rivers that flow through 11 countries and supply 1.6 billion people with water. As noted by Dechen Palmo of the Tibet Policy Institute, ‘[T]he future of Asia’s water lies in China’s hands.’
Somewhat presciently, in 2010 the general manager of China Hydropower Engineering Consulting Group wrote in favour of constructing a new dam at Motuo because it was a ‘great policy to protect our territory from Indian invasion’. China’s incursion into Ladakh in 2020 has also been seen as part of a broader Chinese strategy to build a strategic buffer around key river systems originating in Tibet.
Given this broader context, the new mega-dam project on the Yarlung Tsangpo may be dressed up as a viable solution to China’s clean energy needs, but it is about much more than just its 2060 net-zero-emissions target. Given the likely downstream impacts, it might create almost as many environmental problems as it solves.